Burnaby officials will take an international “friendship” trip to Japan later this year, despite a previous council decision to cancel a longer Asia trip due to cost concerns.
The trip to Japan will celebrate the 60th anniversary of the sister city relationship between Burnaby and Kushiro.
Kushiro invited Burnaby delegates to attend a gourmet event called Kushiro Tairyo Donpaku in September, according to a staff report read by council Tuesday.
Sister cities and “friendship cities” are international partnerships intended to foster economic development, trade and cultural exchange.
In December, council cancelled plans for a larger trip to friendship cities in Japan, South Korea and Taiwan due to poor optics and budget concerns.
But Coun. Pietro Calendino said the 60th anniversary of the Kushiro sister city relationship is a “landmark year.”
He said the group was waiting for Burnaby to approve the trip to Kushiro and would not come to Burnaby if it wasn’t a reciprocal exchange.
“The Japanese are very much tied to protocol, and the protocol requires that if they visit, the exchange visits should be done as well,” Calendino said.
“When that does not happen, it’s sort of offensive to them, diminishes their importance.”
Coun. Sav Dhaliwal added: “We want to share best practices, and yes, we want to share cultural and other things that we have in common.”
He said the trip is a “once-in-a-decade kind of thing.”
Coun. Richard Lee tried to amend the proposal to have Burnaby delegates pay for their own accommodations and meals, but no other councillors supported his amendment.
Lee said he would vote in favour of the trip but would not accept a subsidy for his meals or accommodations.
- - -
# 1
The following is a quantum chemistry calculation of a molecular structure, C6H13AuN3OS, from the Open Molecules 2025 dataset.

Last column: Mulliken spin population.
Cartesian coordinates (Å):
Au  -1.601  -0.743  -0.194  0.292
N  0.442  0.815  -2.284  0.004
C  0.695  1.564  -0.969  0.001
C  1.518  0.739  0.013  -0.004
N  0.876  -0.542  0.349  0.097
C  0.951  -0.970  1.769  -0.001
C  -0.344  -0.711  2.523  0.002
N  -1.484  -1.392  1.852  -0.007
H  0.669  -0.175  -2.172  0.001
H  1.025  1.197  -3.035  0.000
H  -0.282  1.796  -0.547  0.002
H  1.189  2.497  -1.229  0.000
H  1.606  1.346  0.915  0.002
H  2.535  0.588  -0.359  0.003
H  1.283  -1.285  -0.206  -0.010
H  1.772  -0.472  2.287  0.002
H  1.177  -2.037  1.785  0.001
H  -0.571  0.355  2.558  0.000
H  -0.235  -1.064  3.549  0.000
H  -2.348  -1.186  2.349  -0.002
H  -1.373  -2.403  1.916  -0.001
S  -3.276  -0.614  -2.589  0.506
C  -1.914  -0.040  -2.048  0.139
O  -1.292  1.799  -3.493  0.005
C  -1.017  0.940  -2.742  -0.031

Output
Total charge: +2
2S+1: 2
HOMO energy (spin up / spin down) (eV): -16.06 / -16.72
Relative energy (zero: lowest compared OMol25 entry of this formula, charge and spin) (eV): 0.619



# 2
The following is a quantum chemistry calculation of 2 unconnected molecules or ions with the total composition C6H13BrN2O4 in a non-equilibrium geometry, from the Open Molecules 2025 dataset.

Last column: Löwdin charge in e.
Cartesian coordinates (Å):
C  -0.949  -0.449  0.665  -0.110
O  0.247  -1.264  0.392  -0.241
C  1.494  -0.552  0.711  -0.313
C  1.672  -0.678  2.370  -0.224
N  1.303  0.590  3.108  -0.057
C  2.851  -1.242  0.076  -0.112
C  2.748  -1.606  -1.519  -0.603
O  3.270  -2.803  -1.908  -0.120
Br  1.976  -0.447  -2.960  0.621
H  -0.798  0.354  1.527  0.100
H  -1.875  -1.110  1.026  0.119
H  -1.296  0.171  -0.282  0.080
H  1.363  0.579  0.390  0.152
H  1.064  -1.630  2.677  0.133
H  2.813  -0.916  2.610  0.115
H  2.060  0.769  3.818  0.074
H  1.264  1.392  2.410  0.073
H  3.756  -0.509  0.333  0.149
H  3.042  -2.254  0.673  0.146
C  -3.640  1.418  -2.906  0.040
N  -3.809  1.962  -1.531  -0.417
O  -3.229  1.371  -0.613  0.035
O  -4.519  2.967  -1.413  0.057
H  -2.994  0.538  -2.860  0.096
H  -4.631  1.150  -3.278  0.102
H  -3.185  2.200  -3.516  0.102

Output
HOMO energy (eV): -9.58
SMILES: CO[C@@H](CN)CC(=O)Br.C[N+](=O)[O-]
Relative energy (zero: lowest compared OMol25 entry of this formula, charge and spin) (eV): 3.579



# 3
The following is a quantum chemistry calculation of 2 unconnected molecules or ions with the total composition C6H13BrN3O in a non-equilibrium geometry, from the Open Molecules 2025 dataset.

Last column: Löwdin charge in e.
Cartesian coordinates (Å):
C  0.075  -0.909  2.384  -0.404
C  0.099  -0.782  -0.739  -0.203
C  -0.001  1.362  0.116  -0.138
C  0.357  -0.291  -2.092  -0.120
C  0.342  1.967  -1.241  -0.062
C  -1.430  -0.333  1.091  -0.599
N  -0.742  0.123  -0.026  -0.219
N  -0.394  -1.825  3.195  0.157
N  1.119  0.934  -1.931  0.048
- - -
(Here the page continues)
The money for the trip will come from the city’s gaming reserve, which comes from the local casino and not taxpayers.
~~~
Run a
The molecule C4H10N2S. Source: OMol25; level of theory: ωB97M-V with the def2-TZVPD basis set.

Calculated values
Highest occupied orbital energy = -9.02 eV
SMILES string = [H]/N=C\N(S)C(C)C
Spin multiplicity = 1
Frontier orbital gap = 9.3637 eV
Molecular weight = 118.20 g mol⁻¹

Atoms and positions in Å:
H -0.483 2.753 0.216
C 0.638 0.124 2.031
H -1.341 0.906 1.244
H 0.081 -0.744 2.675
H -0.429 2.600 1.969
H -2.121 -1.045 0.209
S 1.138 -0.504 -1.016
N -1.396 -1.597 -1.684
N -0.431 0.020 -0.253
H 0.675 0.684 2.973
H 1.625 -1.404 -0.028
C -0.242 0.751 0.993
H -0.590 -1.712 -2.281
C -0.042 2.282 0.992
C -1.318 -0.751 -0.675
H 1.746 -0.028 1.678
H 1.216 2.663 1.119

Run b
The molecule C4H10N2S. Source: OMol25; level of theory: ωB97M-V with the def2-TZVPD basis set.

Calculated values
Highest occupied orbital energy = -8.96 eV
SMILES string = C/N=C(/CS)NC
Spin multiplicity = 1
Frontier orbital gap = 9.7593 eV
Molecular weight = 118.20 g mol⁻¹

Atoms and positions in Å:
H -2.134 -0.451 -1.114
S 3.071 0.010 -0.265
C 0.348 -0.472 0.286
H -2.277 -0.508 0.629
H 2.677 -0.227 -1.550
H 2.030 -0.870 1.634
H -0.565 1.580 -1.244
C -0.727 1.738 -0.164
H -1.793 1.576 0.051
C 1.760 -0.947 0.552
N -0.473 -1.331 -0.163
H 1.790 -2.017 0.272
H -0.464 2.754 0.080
N 0.111 0.856 0.645
H -2.445 -1.980 -0.309
C -1.890 -1.032 -0.242
H 0.982 1.321 0.902

Run c
The molecule C4H10N2S. Source: OMol25; level of theory: ωB97M-V with the def2-TZVPD basis set.

Calculated values
Highest occupied orbital energy = -8.83 eV
SMILES string = [H]/N=C(\CS)N(C)C
Spin multiplicity = 1
Frontier orbital gap = 9.6234 eV
Molecular weight = 118.20 g mol⁻¹

Atoms and positions in Å:
H -1.787 -1.442 -0.839
H 3.315 -0.391 1.266
H -0.767 2.150 0.468
C -1.157 1.328 -0.192
H -2.254 1.391 -0.219
N 0.683 -1.673 -0.327
S 3.231 -0.070 -0.012
C 1.589 0.556 -0.018
H -1.613 -1.825 0.871
H 1.620 -1.937 -0.401
H -2.773 -0.465 0.300
H 1.456 1.096 -0.940
N -0.812 0.006 0.295
C -1.840 -0.993 0.150
H -0.884 1.418 -1.233
C 0.465 -0.454 0.013
H 1.528 1.304 0.820

Run d
The molecule C4H10N2S. Source: OMol25; level of theory: ωB97M-V with the def2-TZVPD basis set.

Calculated values
Highest occupied orbital energy = -9.16 eV
SMILES string = CCC/N=C\NS
Spin multiplicity = 1
Frontier orbital gap = 9.8122 eV
Molecular weight = 118.20 g mol⁻¹

Atoms and positions in Å:
H 0.453 0.263 1.397
H 0.985 -1.828 -1.615
H -1.816 0.838 1.909
C -0.275 -0.541 1.194
H -3.780 -0.406 0.820
H -2.563 -1.462 -0.021
H -2.798 -1.505 1.762
C -2.779 -0.856 0.876
H -1.592 0.836 0.207
S 1.176 1.668 -0.771
C -1.648 0.130 1.059
H 2.182 -0.178 -1.898
N 1.607 0.040 -1.090
H -0.280 -1.183 2.081
C 0.843 -1.115 -0.782
H 1.969 1.920 0.371
N 0.048 -1.424 0.124

Verdict on stability: run b comes out on top.

Run a
A cluster of 2 separate species, C4H13N2OP in total. Source: OMol25; level of theory: ωB97M-V with the def2-TZVPD basis set.

Calculated values
Highest occupied orbital energy (spin up / spin down) = -8.03 / -7.70 eV
Spin multiplicity = 1
~~~
**End of the molecular data:**
Estimated costs for a seven-day trip to Japan per delegate are between $4,750 (for economy travel) and $6,750 (for business class), plus $15,000 for ground transportation, a hosting dinner and a token of appreciation.
Coun. Maita Santiago said she’s mindful of the tough economic climate, but added the trip can show the local community that the city values its relationship with Japan.
“Where some countries are increasingly being very isolationist, I think it’s all the more reason for us as a city to pursue these relationships,” she said.
But other councillors said the money could be put to better use.
Coun. Alison Gu said the cost of the trip is “just exorbitant,” and said even if the money comes from the gaming reserve, the city could spend it on something local like a playground.
She added the world has changed since the friendship cities program was established.
“I ultimately think that we need to be looking at how we can strengthen our local relationships, primarily, including with people of Japanese descent in our own community.”
Mayor Mike Hurley also opposed the trip.
“There’s no disrespect to anyone, but I just cannot justify spending this kind of money at this time.”
The trip was approved in a 5-4 vote.
Hurley, Gu, Daniel Tetrault and Joe Keithley opposed it, while Calendino, Dhaliwal, Lee, Santiago and James Wang supported it.
Delegates from Kushiro will come to Burnaby in July; the city also plans to rename Hawthorne Lane, a walkway near the Nikkei Centre, to Kushiro Lane or Kushiro Emmott Lane.
The estimated cost of the Kushiro delegation coming to Burnaby is $67,200.